Entries.
- - -
#a
The following is a DFT calculation (GGA-PBE) of a geometry-optimized TlAu5 structure.

**Calculated density**: 17.0 g/cm³
**DOS at the Fermi energy**: 1.47 states/eV/f.u.

Cell: 4.2656 12.9362 4.1996 Å, 90.00 90.00 90.00°
With the nearest neighbours (Å) after each atom.
Space group Cmmm (No. 65)
One atom of each set of equivalent atoms:
Tl (0.0000, 0.0000, 0.0000) x2  12 Au 2.99-3.07
Au (0.0000, 0.1736, 0.5000) x4  10 Au 2.91-3.10, 2 Tl 3.07
Au (0.0000, 0.3322, 0.0000) x4  10 Au 2.93-3.02, 2 Tl 3.04
Au (0.0000, 0.5000, 0.5000) x2  4 Tl 2.99, 8 Au 3.02-3.10

#b
The following is a DFT calculation (GGA-PBE) of a geometry-optimized TlAu5 structure.

**Calculated density**: 15.8 g/cm³
**DOS at the Fermi energy**: 1.76 states/eV/f.u.

Cell: 7.9295 7.9295 7.9295 Å, 90.00 90.00 90.00°
With the nearest neighbours (Å) after each atom.
Space group F-43m (No. 216)
One atom of each set of equivalent atoms:
Tl (0.0000, 0.0000, 0.0000) x4  16 Au 3.29-3.43
Au (0.1247, 0.1247, 0.3753) x16  6 Au 2.80-2.81
Au (0.2500, 0.2500, 0.7500) x4  12 Au 3.29, 4 Tl 3.43

Energy relative to the most stable one, in meV/atom: #a 7; #b 0

#a
The following is a DFT calculation (GGA-PBE) of a geometry-optimized Tl3Au structure.

**Calculated density**: 11.6 g/cm³
**DOS at the Fermi energy**: 1.46 states/eV/f.u.

Cell: 6.6951 17.1932 4.0345 Å, 90.00 90.00 90.00°
With the nearest neighbours (Å) after each atom.
Space group Cmcm (No. 63)
One atom of each set of equivalent atoms:
Tl (0.0000, 0.2128, 0.2500) x4  2 Au 2.94
Tl (0.2460, 0.0770, 0.7500) x8  2 Au 3.02, 3 Tl 3.29-3.33
Au (0.0000, 0.3376, 0.7500) x4  6 Tl 2.94-3.02

#b
The following is a DFT calculation (GGA-PBE) of a geometry-optimized Tl3Au structure.

**Calculated density**: 12.2 g/cm³
**DOS at the Fermi energy**: 1.33 states/eV/f.u.

Cell: 6.0470 6.0470 6.0470 Å, 90.00 90.00 90.00°
With the nearest neighbours (Å) after each atom.
Space group Pm-3n (No. 223)
One atom of each set of equivalent atoms:
Tl (0.0000, 0.2500, 0.5000) x6  2 Tl 3.02, 4 Au 3.38
Au (0.0000, 0.0000, 0.0000) x2  12 Tl 3.38

Energy relative to the most stable one, in meV/atom: #a 0; #b 58
- - -
Brief.
It remains to echo all of the data further above word for word.
Worked solution.
#a
The following is a DFT calculation (GGA-PBE) of a geometry-optimized TlAu5 structure.

**Calculated density**: 17.0 g/cm³
**DOS at the Fermi energy**: 1.47 states/eV/f.u.

Cell: 4.2656 12.9362 4.1996 Å, 90.00 90.00 90.00°
With the nearest neighbours (Å) after each atom.
Space group Cmmm (No. 65)
One atom of each set of equivalent atoms:
Tl (0.0000, 0.0000, 0.0000) x2  12 Au 2.99-3.07
Au (0.0000, 0.1736, 0.5000) x4  10 Au 2.91-3.10, 2 Tl 3.07
Au (0.0000, 0.3322, 0.0000) x4  10 Au 2.93-3.02, 2 Tl 3.04
Au (0.0000, 0.5000, 0.5000) x2  4 Tl 2.99, 8 Au 3.02-3.10

#b
The following is a DFT calculation (GGA-PBE) of a geometry-optimized TlAu5 structure.

**Calculated density**: 15.8 g/cm³
**DOS at the Fermi energy**: 1.76 states/eV/f.u.

Cell: 7.9295 7.9295 7.9295 Å, 90.00 90.00 90.00°
With the nearest neighbours (Å) after each atom.
Space group F-43m (No. 216)
One atom of each set of equivalent atoms:
Tl (0.0000, 0.0000, 0.0000) x4  16 Au 3.29-3.43
Au (0.1247, 0.1247, 0.3753) x16  6 Au 2.80-2.81
Au (0.2500, 0.2500, 0.7500) x4  12 Au 3.29, 4 Tl 3.43

Energy relative to the most stable one, in meV/atom: #a 7; #b 0

#a
The following is a DFT calculation (GGA-PBE) of a geometry-optimized Tl3Au structure.

**Calculated density**: 11.6 g/cm³
**DOS at the Fermi energy**: 1.46 states/eV/f.u.

Cell: 6.6951 17.1932 4.0345 Å, 90.00 90.00 90.00°
With the nearest neighbours (Å) after each atom.
Space group Cmcm (No. 63)
One atom of each set of equivalent atoms:
Tl (0.0000, 0.2128, 0.2500) x4  2 Au 2.94
Tl (0.2460, 0.0770, 0.7500) x8  2 Au 3.02, 3 Tl 3.29-3.33
Au (0.0000, 0.3376, 0.7500) x4  6 Tl 2.94-3.02

#b
The following is a DFT calculation (GGA-PBE) of a geometry-optimized Tl3Au structure.

**Calculated density**: 12.2 g/cm³
**DOS at the Fermi energy**: 1.33 states/eV/f.u.

Cell: 6.0470 6.0470 6.0470 Å, 90.00 90.00 90.00°
With the nearest neighbours (Å) after each atom.
Space group Pm-3n (No. 223)
One atom of each set of equivalent atoms:
Tl (0.0000, 0.2500, 0.5000) x6  2 Tl 3.02, 4 Au 3.38
Au (0.0000, 0.0000, 0.0000) x2  12 Tl 3.38

Energy relative to the most stable one, in meV/atom: #a 0; #b 58